[Entries]
~~~
{
  "formula": "C5H13NO2",
  "method": "the ωB97M-V functional and the def2-TZVPD basis",
  "multiplicity": 1,
  "energy_ev": -10976.752,
  "homo_energy_ev": -9.121,
  "total_charge": 0,
  "e_above_lowest_kcal_mol": 118.24,
  "orbital_gap_ev": 9.103,
  "lumo_energy_ev": 0.0,
  "species": ["C", "N", "C", "C", "C", "O", "C", "H", "H", "H", "H", "H", "H", "H", "H", "H", "H", "H", "H", "H", "O"],
  "positions_angstrom": [[-1.2222, 0.4967, -1.6930], [-1.0884, 0.7387, -0.2848], [0.3458, 0.5322, 0.0272], [0.8786, -0.8807, -0.2354], [2.3184, -0.9448, -0.1875], [3.0724, 0.1103, -0.1056], [0.7743, 0.9713, 1.5167], [-0.9908, -0.5687, -1.7607], [-2.2773, 0.5746, -2.0327], [-0.5422, 0.9813, -2.3988], [-1.5822, 1.5023, 0.0929], [0.9158, 1.1599, -0.6821], [0.3135, -1.8164, -0.1617], [1.7637, -1.2353, 0.8040], [2.7467, -1.8220, -0.8370], [1.7736, 0.5639, 1.6929], [0.0627, 0.4586, 2.1943], [0.8166, 2.0574, 1.7382], [-2.9210, -1.6883, 0.9463], [-2.2071, -0.4600, 0.3615], [-2.9510, -0.7310, 1.0051]]
}


{
  "formula": "C5H13NO2",
  "method": "the ωB97M-V functional and the def2-TZVPD basis",
  "multiplicity": 1,
  "energy_ev": -10979.082,
  "homo_energy_ev": -9.288,
  "total_charge": 0,
  "e_above_lowest_kcal_mol": 64.50,
  "orbital_gap_ev": 9.889,
  "lumo_energy_ev": 0.6,
  "smiles": "CC(C)N(C)C=O.O",
  "species": ["C", "N", "C", "C", "C", "C", "O", "H", "H", "H", "H", "H", "H", "H", "H", "H", "H", "H", "H", "H", "O"],
  "positions_angstrom": [[-0.9766, -1.0772, 0.2994], [-0.2298, -0.0706, 0.7021], [0.8743, -0.3416, 1.5680], [-1.5919, 1.7044, -0.2500], [-0.2265, 1.3228, 0.1939], [0.7904, 1.4024, -0.8829], [-1.8930, -0.9921, -0.5675], [-0.7848, -2.1378, 0.7202], [1.2872, 0.4443, 2.1242], [0.4485, -0.9411, 2.5919], [1.7324, -0.9086, 1.1776], [-1.8489, 2.7705, -0.2217], [-2.0236, 1.1729, -1.1638], [-2.2700, 1.2862, 0.5319], [0.0859, 2.0286, 0.9987], [0.9058, 0.6344, -1.6316], [1.7483, 1.6064, -0.6795], [0.4996, 2.1789, -1.6900], [3.2514, -2.0293, -0.8084], [2.0614, -0.9744, -0.7035], [2.3053, -1.8456, -0.8989]]
}
~~~
[To do]
Now find the line further up that holds "[0.3135, -1.8164,", then set down that line and all lines after it there.
[Outcome]
  "positions_angstrom": [[-1.2222, 0.4967, -1.6930], [-1.0884, 0.7387, -0.2848], [0.3458, 0.5322, 0.0272], [0.8786, -0.8807, -0.2354], [2.3184, -0.9448, -0.1875], [3.0724, 0.1103, -0.1056], [0.7743, 0.9713, 1.5167], [-0.9908, -0.5687, -1.7607], [-2.2773, 0.5746, -2.0327], [-0.5422, 0.9813, -2.3988], [-1.5822, 1.5023, 0.0929], [0.9158, 1.1599, -0.6821], [0.3135, -1.8164, -0.1617], [1.7637, -1.2353, 0.8040], [2.7467, -1.8220, -0.8370], [1.7736, 0.5639, 1.6929], [0.0627, 0.4586, 2.1943], [0.8166, 2.0574, 1.7382], [-2.9210, -1.6883, 0.9463], [-2.2071, -0.4600, 0.3615], [-2.9510, -0.7310, 1.0051]]
}


{
  "formula": "C5H13NO2",
  "method": "the ωB97M-V functional and the def2-TZVPD basis",
  "multiplicity": 1,
  "energy_ev": -10979.082,
  "homo_energy_ev": -9.288,
  "total_charge": 0,
  "e_above_lowest_kcal_mol": 64.50,
  "orbital_gap_ev": 9.889,
  "lumo_energy_ev": 0.6,
  "smiles": "CC(C)N(C)C=O.O",
  "species": ["C", "N", "C", "C", "C", "C", "O", "H", "H", "H", "H", "H", "H", "H", "H", "H", "H", "H", "H", "H", "O"],
  "positions_angstrom": [[-0.9766, -1.0772, 0.2994], [-0.2298, -0.0706, 0.7021], [0.8743, -0.3416, 1.5680], [-1.5919, 1.7044, -0.2500], [-0.2265, 1.3228, 0.1939], [0.7904, 1.4024, -0.8829], [-1.8930, -0.9921, -0.5675], [-0.7848, -2.1378, 0.7202], [1.2872, 0.4443, 2.1242], [0.4485, -0.9411, 2.5919], [1.7324, -0.9086, 1.1776], [-1.8489, 2.7705, -0.2217], [-2.0236, 1.1729, -1.1638], [-2.2700, 1.2862, 0.5319], [0.0859, 2.0286, 0.9987], [0.9058, 0.6344, -1.6316], [1.7483, 1.6064, -0.6795], [0.4996, 2.1789, -1.6900], [3.2514, -2.0293, -0.8084], [2.0614, -0.9744, -0.7035], [2.3053, -1.8456, -0.8989]]
}